We all want to understand how to make our life count for something. Ultimately, we know that a truly unwasted life is found in discovering God’s calling and purpose for us and living to fulfill it. Big callings often invite big challenges—both internal and external—but we serve a great God who fights for us. We can be ready for the challenges, but we don’t have to be afraid. Nehemiah had a big calling—to restore the walls of Jerusalem—and he faced big challenges as he worked to accomplish his task. In leading the Jewish people in this rebuilding project, Nehemiah wanted to go about the task in the right way.

Read Nehemiah 5.1–6.

The new challenge facing the Jews was not the physical difficulty of rebuilding the wall. They were doing a good thing in working to rebuild, but even in the midst of this good thing, they had allowed injustice to creep into their day-to-day relationships with one another. They were treating each other unfairly with financial burdens that resulted in insurmountable debt and enslavement of their own children. They were going about the right thing in the wrong way.

The real issue facing the Jews was their own relational brokenness. The poverty they were facing—and the true poverty we face today—is that of broken relationships. Those with the greatest physical needs around the world define poverty as lacking respect, honor, value and acceptance, or bearing shame, guilt and embarrassment. The deficiencies are relational, both with others and with God.

When we are in right relationship with God, we have no shame or guilt before Him. When we are in right relationship with others, we aren’t seeking to do harm, exploit or leave anyone in a place of physical need. The Jews were guilty of all of the deficiencies of broken relationships. As we pursue God’s calling inn our lives, we must work against these things, ensuring that we pursue our calling justly.

Question: Does the way we run our businesses or organizations reflect a concern for the poor? Do our methods respect the dignity of the people around us? Do we treat others with fairness and compassion, or are we constantly trying to gain an advantage over people and profit from their situation?


God’s hope in rescuing us was that we would fight for those who can’t fight for themselves. At Engedi, one of our core values is to care for the poor and vulnerable as we extend compassion. A person who champions the unwasted life leaves a thumbprint of freedom, healing, hope and restoration in the world.

Practically speaking, there are five things we need to do to leave a thumbprint of restoration in our world.


1. Slow down enough to hear the outcry of those around us


Nehemiah stopped and noticed the injustice around him: no food, bad loans, high taxes and child slavery. If we have truly experienced the redeeming work of Christ in our lives, then we cannot turn a blind eye to the pain and brokenness of others.

• Between two parts of the page: quantum chemistry results:
=====
No. 1
Formula: C4H12N2
Source: the Open Molecules 2025 dataset
Level of theory: wB97M-V/def2-TZVPD

The geometry in ORCA input format:
```
! wB97M-V def2-TZVPD RIJCOSX def2/J DEFGRID3
* xyz 0 1
C 1.0832 -2.5487 -0.0611
N 0.9157 -1.3607 0.8903
C 1.5637 -0.2023 0.1716
H 1.8681 -3.0869 0.4684
H 1.1466 -2.3539 -1.2461
H 0.0731 -3.0661 -0.0660
H 1.3253 -1.6067 1.8209
H 0.7870 0.0853 -0.6027
H 1.7715 0.6145 0.8721
H 2.4753 -0.4381 -0.3373
C -1.7738 0.7914 -0.3334
C -1.4033 3.0071 -0.3245
N -1.1374 1.9101 -0.9340
H -1.2631 0.3502 0.6744
H -2.7146 1.0632 0.1823
H -1.7379 -0.0890 -0.9761
H -0.5824 3.7060 -0.2831
H -2.3972 3.2248 0.0844
*
```

Results
Kohn-Sham gap ... 0.3497 hartree
LUMO level ... 0.904 eV
SMILES string ... C=NC.CNC
Highest occupied orbital energy ... -8.61 eV

Here is what Löwdin gives for the atomic charges, in e: number 1, C, carries -0.15; number 2, N, carries -0.20; number 3, C, carries -0.17; number 4, H, carries 0.06; number 5, H, carries 0.12; number 6, H, carries 0.06; number 7, H, carries 0.09; number 8, H, carries 0.06; number 9, H, carries 0.07; number 10, H, carries 0.05; number 11, C, carries -0.22; number 12, C, carries -0.07; number 13, N, carries -0.09; number 14, H, carries 0.12; number 15, H, carries 0.06; number 16, H, carries 0.06; number 17, H, carries 0.06; number 18, H, carries 0.07


No. 2
Formula: C2H4N2S
Source: the Open Molecules 2025 dataset
Level of theory: wB97M-V/def2-TZVPD

The geometry in ORCA input format:
```
! wB97M-V def2-TZVPD RIJCOSX def2/J DEFGRID3
* xyz 0 1
C -0.1058 0.3194 0.6103
C -0.0506 0.3750 -0.9417
N 0.5489 -0.9264 0.5345
N 0.5313 -1.0686 -0.7911
S -1.7363 0.9626 -1.3920
H 0.5237 0.9321 1.2187
H -1.0475 0.0525 0.9916
H 0.6304 0.9741 -1.4363
H 0.7058 -1.6207 1.2059
*
```

Results
Kohn-Sham gap (spin up / spin down) ... 0.1947 / 0.1946 hartree
LUMO level (spin up / spin down) ... -1.976 / -1.977 eV
Highest occupied orbital energy (spin up / spin down) ... -7.27 / -7.27 eV

Here is what Löwdin gives for the atomic charges, in e: number 1, C, carries -0.24; number 2, C, carries -0.71; number 3, N, carries 0.04; number 4, N, carries 0.22; number 5, S, carries 0.31; number 6, H, carries 0.12; number 7, H, carries 0.08; number 8, H, carries 0.04; number 9, H, carries 0.14


No. 3
Formula: C13H14N2
Source: the Open Molecules 2025 dataset
Level of theory: wB97M-V/def2-TZVPD

The geometry in ORCA input format:
```
! wB97M-V def2-TZVPD RIJCOSX def2/J DEFGRID3
* xyz 0 1
C 2.6247 -1.0232 0.9196
C 4.1729 0.1119 0.0415
C 2.0870 -0.2814 -0.1027
C 0.0115 -1.4221 -0.7162
C -1.4670 -1.5835 -0.6020
C -1.9246 0.1304 1.1587
C 0.6492 -0.2480 -0.4195
C -2.3006 -0.9533 0.2528
C -0.9802 0.9412 0.7812
C 0.2336 1.8477 0.9467
C -0.0380 1.0290 -0.3224
C -3.7522 -1.3874 0.3982
C -0.3002 1.8503 -1.5695
N 3.9133 -0.7792 1.0049
N 3.0716 0.4960 -0.5852
H 2.1764 -1.9116 1.4257
H 5.1704 0.4392 -0.2221
H 0.4700 -2.4182 -0.7048
H -1.7845 -2.5069 -1.1062
H -2.4848 0.1314 2.0833
H 0.0656 2.8659 1.0400
H 1.0885 1.5454 1.6617
=====


2. Allow ourselves to feel and be moved by the pain of others


We can see that this situation touched Nehemiah deeply (verse 6). He was very angry about it, but his anger wasn’t selfish or sinful; it was controlled and constructive.

Inserted here: data records =
+++
C35H78Br2F5N10O5P4S as an isolated structure at a distorted geometry, computed with ωB97M-V/def2-TZVPD.

The calculation puts the total energy at -9714.3208 Eh. The net charge is +1.

Element x y z (Å)
H -1.82 -10.43 -4.70
H -5.31 6.92 -1.01
C 2.00 4.58 -0.07
H 3.82 3.31 -0.17
H 1.47 -8.06 -5.33
H -3.90 11.60 2.97
C 3.61 -6.26 1.12
H -5.62 9.90 2.32
H 1.10 -7.25 -3.82
H -3.62 12.48 -0.26
H -2.42 10.71 2.69
C -3.23 11.24 2.18
H 3.43 -6.56 0.08
N 0.56 4.57 0.33
P 2.53 -5.17 3.35
C 1.21 -6.20 1.01
H 4.88 0.08 2.77
H 2.75 -8.13 2.96
H 5.14 2.41 1.93
H 0.54 4.73 1.36
H 1.10 -7.36 5.91
F -1.16 5.59 -5.14
N 2.37 -5.88 1.81
O -1.72 1.98 -2.78
H -3.55 10.84 -3.31
H -2.96 6.48 0.37
H -3.11 9.25 -2.79
H 4.09 -7.10 1.63
H 0.72 0.70 1.33
H 0.08 1.27 -0.67
H 0.82 -11.55 0.59
H -3.20 6.26 -1.38
H -2.52 5.31 3.27
O -2.23 8.73 1.13
C 4.51 0.90 3.46
F -1.58 3.41 -5.33
N -1.44 -9.95 -2.68
H 1.25 -7.24 0.67
H 3.53 0.53 3.93
H -3.32 -10.70 -2.07
H 1.13 -9.83 0.47
F -2.51 4.67 -3.63
C -2.03 -9.64 -3.98
H 1.15 -5.55 0.13
H 1.61 -2.18 3.47
H 2.01 4.78 -1.20
H -2.06 -11.92 -2.28
H 3.58 0.10 0.59
H 0.27 -6.12 1.54
C -5.34 10.41 1.39
Br 3.94 8.45 0.88
H -5.18 11.96 -0.95
C -1.73 3.72 -0.17
C 2.96 6.99 -0.03
C 1.79 0.68 1.74
H -0.54 -10.42 0.54
C -0.09 4.16 -3.48
H -0.58 -5.15 3.06
P -2.92 9.59 0.07
H -5.71 11.44 1.45
H 3.04 6.65 -2.20
C -2.47 4.98 2.20
H 1.91 -8.68 4.37
N 0.42 -10.71 -1.33
N -3.67 8.20 -0.65
H 0.45 -12.22 -2.83
C 0.46 -10.63 0.13
H 2.30 2.76 -2.06
C 2.45 7.32 -1.49
C -1.38 4.41 -4.42
H 1.16 -5.63 5.85
H -0.81 -3.52 3.58
H 2.52 -8.32 -3.92
P 0.10 -9.27 -2.18
C 0.94 -6.51 5.25
H 5.21 1.10 4.33
H 2.04 -10.90 -3.98
C -4.09 11.94 -1.08
H -1.82 7.19 -0.80
O 1.41 -8.63 -1.70
H 0.64 -2.49 4.93
C 4.27 2.27 2.66
C -3.78 10.07 -2.57
N -3.90 10.40 1.21
Br 3.47 5.69 2.47
H 1.44 -10.28 -5.52
H 1.70 -12.36 -1.60
H -1.85 4.54 -0.94
H -2.08 -10.84 -0.87
H 4.32 3.10 3.44
H 0.39 -11.27 -4.57
C 2.76 5.76 0.62
H 0.06 -3.81 2.06
H -5.90 9.97 0.58
C 2.67 -0.47 1.00
S -0.32 2.47 -2.71
H 1.38 6.96 -1.56
H 0.12 5.42 -0.07
C 1.85 -7.95 3.55
H -0.12 -6.50 4.98
F 1.00 4.17 -4.34
C 1.46 -2.88 4.31
H 2.35 -2.88 4.93
O 0.46 1.54 -3.55
H -2.36 2.83 -0.44
H -2.79 12.12 1.70
H 2.42 1.20 -1.15
P 2.61 2.37 1.77
H -3.86 12.53 -1.97
N 1.78 -6.59 4.06
C -5.07 7.83 -0.46
C 1.48 -8.18 -4.24
H -4.81 9.75 -2.72
O 3.25 -3.93 2.80
H -3.12 -9.53 -3.91
H 1.67 0.30 2.82
C -0.19 3.31 0.08
C -2.88 6.97 -0.60
H 2.13 -0.93 0.12
H -5.30 7.66 0.60
H 0.01 -12.77 -1.26
C 2.73 3.15 0.06
H -1.68 -8.69 -4.38
C 1.16 -10.50 -4.49
H 4.32 -5.43 1.09
H -5.73 8.58 -0.88
N 0.65 -9.31 -3.82
C -2.22 4.34 1.19
C -2.25 -10.90 -1.94
C 0.41 2.32 -1.00
H -0.21 2.74 1.06
N 1.16 -4.24 3.83
F -0.06 5.23 -2.58
C 2.01 2.25 -1.08
C 0.66 -12.06 -1.78
H 0.97 -8.19 2.95
H 3.07 -1.25 1.72
C -0.09 -4.18 3.08
H 2.57 8.40 -1.78
N -3.60 10.58 -1.21

These are the Löwdin partial charges, in e, on atoms 1 to 2: number 1, H, carries 0.086; number 2, H, carries 0.084

=====

Entry 1:
+++
End of the data records =

Read Exodus 22.25.

In this Exodus passage we find a financial precedent to follow. When the Jews failed to follow God’s instruction, abuse and injustice followed, and Nehemiah could feel the pain they carried.


3. Use our God-given abilities, resources and position to fight injustice.


Things rarely work themselves out with time. The truth is that the longer we wait, the more complicated things become. It’s okay for any company, city, family, or church to have problems, but it’s not okay to ignore those problems. Problems are a fact of life. How big they become is determined by our willingness to address them…or not!

Correcting any problem begins by facing it head-on. Notice how Nehemiah consulted before he confronted (verse 7). We should likewise pray first, and seek a plan of action from God. Nehemiah also made it clear that the price of not solving the problem would be very high (verse 9). He knew that when people ignore God’s commands, it invites His judgment. God was not going to bless the rebuilding project as long as they showed blatant disregard for His Word. Nehemiah understood that the HOW was just as important as the WHAT.

Question: Have you seen internal problems sabotage the good work of others? What happened? How could those problems have been resolved?


4. Be willing to restrict our privileges


Restricting our own privileges always involves sacrifice and servanthood. Nehemiah was entitled to a food allowance from the Jewish people, but he chose to forego his legal rights and sacrifice by covering his own expenses. People who leave a print of restoration have learned to say “no” to themselves, especially when they possess the right and ability to say “yes”. This is what Jesus did for us.


5. Live in the fear of the Lord


Nehemiah left a mark of restoration in history because he lived with a reverence and respect for God that influenced HOW he did what he did. How we do what God calls us to do should matter to us because it sure matters to him.

_Misplaced calculated molecules_
'''
[1]
Computed, not measured: 3 unconnected molecules or ions with the total composition C29H55BI3N2O6S4, with ωB97M-V/def2-TZVPD.

Results
**HOMO**: -0.193 Ha
**LUMO energy**: 0.040 Ha
**Energy**: -114537.837 eV
**F_max**: 7.87 eV/Å
**Orbital gap**: 6.34 eV

Geometry as ORCA input:
```
! wB97M-V def2-TZVPD RIJCOSX def2/J DEFGRID3
* xyz -1 1
I -4.17217 3.24201 -1.72141
I -4.97057 2.67229 2.11450
I 0.12572 3.57772 1.02559
S -1.50552 0.22752 7.49777
S 4.93545 6.11269 -4.62422
S 6.59026 1.49420 -3.15318
S -0.19902 0.70163 4.77434
O 6.07819 6.22269 -3.65948
O 0.46500 -2.36214 -1.41142
O 2.53297 -3.05613 8.58781
O 5.10492 1.67532 -3.25119
O -0.86443 0.97272 -0.38700
O -1.95495 1.50458 -2.34516
N 0.69852 -1.42715 6.73819
N -0.50834 -0.37675 -2.44157
C -0.26092 -0.29044 6.40637
C -2.22531 1.29439 0.15815
C -4.30093 -4.12110 -1.60222
C -3.00638 1.39022 -1.28020
C -1.33428 -0.16814 2.33031
C 3.08589 -2.16218 7.54032
C -3.54523 -4.69870 -0.22641
C -4.75099 -1.60185 -3.61315
C 6.92509 -0.28336 -3.18805
C 0.15841 -2.32120 7.84353
C 7.05513 1.73716 -1.42174
C -2.64362 -6.04135 -0.49490
C -4.12855 -0.07275 -3.34457
C 4.47300 4.36646 -4.72337
C -3.59791 -2.73338 -3.89160
C 3.44026 6.65237 -3.76038
C -2.90877 3.37259 1.90100
C -1.81100 0.37858 3.80022
C -3.74251 -0.02382 -1.75205
C 0.37481 2.21897 -2.38499
C 2.02096 -0.89932 7.28603
C -2.43508 4.71987 2.76345
C -2.47308 -0.00807 1.14065
C 1.20817 -3.58575 8.12451
C -3.10013 -3.56240 -2.56808
C -0.33561 -0.36279 -3.94458
C -1.90488 2.65088 1.02137
C 2.25731 -0.57599 -1.93518
C 0.70326 -1.11748 -1.91015
B -0.65488 1.01261 -1.84874
H -4.38017 -4.95231 0.58569
H -2.44701 -1.04143 0.54336
H 0.43586 2.28913 -3.55141
H -1.50555 -5.72568 -0.32214
H -3.42118 5.16004 3.25106
H -5.36050 -1.49361 -4.63391
H -3.51902 0.00096 1.69044
H 5.28828 3.81806 -5.20114
H 0.82485 -4.26618 9.02511
H -0.51805 -1.42314 -4.44988
H -3.90685 -3.54884 -4.70571
H 6.31960 -0.79286 -2.43470
H 4.15034 -1.78944 7.86799
H 1.79732 -0.47793 8.37737
H 6.66694 -0.66577 -4.17857
H -4.74417 -0.14290 -1.11833
H 7.98648 -0.45916 -2.99876
H 2.54635 -0.12039 6.58628
H 1.43209 -4.21782 7.16298
H -2.62290 -2.21542 -4.34555
H -2.88520 -6.79628 0.39768
H 0.06673 -1.76576 8.89065
H 2.36987 0.29956 -2.73873
H 8.11225 1.49550 -1.28999
H -0.30752 0.33588 2.08348
H 6.88947 2.78530 -1.16165
H -3.03496 -0.96406 -1.55411
H 2.60076 -0.16082 -0.89641
H -2.83886 -6.50663 -1.55274
H 3.33747 6.11112 -2.81685
H -2.88366 -3.85141 0.26645
H 0.77851 -0.06844 -4.25242
H 3.56700 4.26211 -5.32464
H -0.09383 3.25274 -2.01971
H 2.99591 -1.44061 -2.29596
H -4.95642 0.68244 -3.68153
H -0.87452 -2.82460 7.59448
H 3.52465 7.72247 -3.55603
H 3.23628 -2.82618 6.58505
H -2.52893 -4.52719 -2.97811
H -1.03086 0.38949 -4.51683
H 4.30655 3.96592 -3.72055
H -4.90949 -4.97059 -2.14181
H -5.05277 -3.30670 -1.21943
H -2.44659 -0.39569 4.42978
H -1.96476 5.55628 2.09360
H -1.13610 -1.33867 2.45223
H -2.42092 1.37724 3.78904
H -1.74103 4.41056 3.68423
H -3.21578 0.01719 -4.07967
'''

Question: Which of these five practices is most challenging for you to walk out and why? How have your life experiences contributed to this difficulty? Who is someone who has walked out that particular practice well, and how did they do it?


How do we want to be remembered? There is a God in heaven who sees not just what we do, but how we go about doing it (how we treat others). This is what truly matters in the end. Psalm 41 tells us about the promises of God for those who walk justly in all that they do.

“Oh, the joys of those who are kind to the poor! The Lord rescues them when they are in trouble. The Lord protects them and keeps them alive. He gives them prosperity in the land and rescues them from their enemies. The Lord nurses them when they are sick and restores them to health” (Ps. 41.1–3).